After a turbulent period, due to lack of a quorum at the Administrative Court, the Administrative Council for Economic Defense (Cade) begins its work in 2020 with four new commissioners on the tribunal and renewed energy at the Superintendency General, following the reappointment of the superintendent in October.

This year a more diversified performance by the agency is expected, increasingly closer to the other actors involved in promoting the current economic agenda in strategic sectors and that goes beyond the traditional functions of investigation of violations of the economic order and review of mergers.

Cade's actions in regulated sectors should gain more relevance in the face of joint action projects with other agencies. In the financial sector, for example, Cade and the Central Bank of Brazil have been holding discussions on fintechs, the implementation of open banking, and the adoption of regulatory sandboxes to promote innovations in the financial system and foster competition in the banking market. In the aviation sector, the agency should act on the revision of the rules on distribution of time slots at airports.

~~~
This entry pairs a crystal structure of La6RuRh with its computed PXRD pattern. Radiation: Cu Kα (weighted mean of Kα1 and Kα2). Structure: a DFT-relaxed cell (PBE, Alexandria).
Lines closer than 0.1° are merged.

Crystal structure
```
data_La6RuRh
_chemical_formula_sum 'La6 Ru1 Rh1'
_cell_length_a 7.8043
_cell_length_b 7.8043
_cell_length_c 7.8043
_cell_angle_alpha 52.81
_cell_angle_beta 52.81
_cell_angle_gamma 52.81
_symmetry_space_group_name_H-M 'P 1'
_symmetry_Int_Tables_number 1
_symmetry_space_group_name_Hall 'P 1'
loop_
_atom_site_label
_atom_site_type_symbol
_atom_site_fract_x
_atom_site_fract_y
_atom_site_fract_z
_atom_site_occupancy
La1 La 0.0855 0.7480 0.4194 1
La2 La 0.2520 0.5806 0.9145 1
La3 La 0.4194 0.0855 0.7480 1
La4 La 0.5806 0.9145 0.2520 1
La5 La 0.7480 0.4194 0.0855 1
La6 La 0.9145 0.2520 0.5806 1
Ru1 Ru 0.5000 0.5000 0.5000 1
Rh1 Rh 0.0000 0.0000 0.0000 1
```

Largest 10 diffraction maxima, in order of rising 2θ, 5 to 70 degrees two-theta:
~~~

Cade has expressed growing concern about the possible anti-competitive effects of conduct related to practices and fees charged at public ports. In the telecommunications sector, the agency publicly expressed its intent to participate in the discussions on the auction of 5th generation mobile telephony.

It is also possible that Cade will reinforce its direct action in promoting competition in regulated sectors, a move that began in 2019 with the signing of cease and desist consents to close investigations against Petrobras. At the time, the company committed to sell refineries and assets related to the natural gas market, in addition to taking over ancillary commitments to solve problems in the gas market.

The entry is interrupted by materials data:
No. 1
For CsUPdI6, DFT lattice parameters and positions (PBE) gives the calculated XRD peak list in this record (CuKα).
No peak broadening, texture or thermal motion is included.

Principal peaks in the range 10 to 90 degrees two-theta, most intense first:
2θ/deg	Rel. int.
30.80	100
25.53	80
16.70	67
41.36	41
38.13	28
46.74	25
52.43	25
37.67	19

Structure:
Cell lengths 7.5614, 7.5614, 9.0639 Å; angles 90.00, 90.00, 120.00 degrees
Element x y z (fractional)
Cs 0.0000 0.0000 0.0000
U 0.3333 0.6667 0.5000
Pd 0.6667 0.3333 0.5000
I 0.3617 0.0093 0.6905
I 0.3617 0.3523 0.3095
I 0.6477 0.0093 0.3095
I 0.6477 0.6383 0.6905
I 0.9907 0.3523 0.6905
I 0.9907 0.6383 0.3095

---

No. 2
For Ac2AuS2O2, DFT lattice parameters and positions (PBE) gives the calculated XRD peak list in this record (CuKα).
No peak broadening, texture or thermal motion is included.

Principal peaks in the range 10 to 90 degrees two-theta, most intense first:
2θ/deg	Rel. int.
25.28	100
28.75	50
42.25	32
39.95	29
23.45	24
48.88	22
49.87	16
46.84	15

Structure:
Cell lengths 4.2783, 4.2783, 11.3824 Å; angles 90.00, 90.00, 120.00 degrees
Element x y z (fractional)
Ac 0.3333 0.6667 0.1389
Ac 0.6667 0.3333 0.8611
Au 0.0000 0.0000 0.5000
S 0.0000 0.0000 0.3020
S 0.0000 0.0000 0.6980
O 0.3333 0.6667 0.9206
O 0.6667 0.3333 0.0794

---

No. 3
For Ac2NdIn, DFT lattice parameters and positions (PBE) gives the calculated XRD peak list in this record (CuKα).
No peak broadening, texture or thermal motion is included.

Principal peaks in the range 10 to 90 degrees two-theta, most intense first:
2θ/deg	Rel. int.
27.18	100
31.18	32
31.29	30
30.48	27
34.71	26
35.50	25
50.49	18
47.47	16

Structure:
Cell lengths 5.1683, 5.0582, 11.9989 Å; angles 90.00, 102.15, 90.00 degrees
Element x y z (fractional)
Ac 0.0619 0.2500 0.1273
Ac 0.4288 0.2500 0.8534
Ac 0.5712 0.7500 0.1466
Ac 0.9381 0.7500 0.8727
Nd 0.3053 0.7500 0.6053
Nd 0.6947 0.2500 0.3947
In 0.1644 0.7500 0.3372
In 0.8356 0.2500 0.6628

---

No. 4
For ErPaCu10, DFT lattice parameters and positions (PBE) gives the calculated XRD peak list in this record (CuKα).
No peak broadening, texture or thermal motion is included.

Principal peaks in the range 10 to 90 degrees two-theta, most intense first:
2θ/deg	Rel. int.
42.32	100
29.97	89
42.12	51
44.15	40
41.51	36
35.90	34
68.64	23
62.20	21

Structure:
Cell lengths 4.1029, 5.0343, 8.6466 Å; angles 90.00, 90.00, 90.00 degrees
Element x y z (fractional)
Er 0.0000 0.0000 0.0000
Pa 0.0000 0.5000 0.5000
Cu 0.0000 0.0000 0.3323
Cu 0.0000 0.0000 0.6677
Cu 0.0000 0.5000 0.1659
Cu 0.0000 0.5000 0.8341
Cu 0.5000 0.0000 0.5000
Cu 0.5000 0.2519 0.2515
Cu 0.5000 0.2519 0.7485
Cu 0.5000 0.5000 0.0000
Cu 0.5000 0.7481 0.2515
Cu 0.5000 0.7481 0.7485

---

No. 5
For SbPC3S3N3Cl3O, DFT lattice parameters and positions (PBE) gives the calculated XRD peak list in this record (CuKα).
No peak broadening, texture or thermal motion is included.

Principal peaks in the range 10 to 90 degrees two-theta, most intense first:

With regard to the prosecution of anticompetitive conduct, Cade intends to publish in the coming months a penalty guide to spell out the criteria for determining the penalties applied in the trial of administrative proceedings. The measure takes place in the context of discussions at the Administrative Court on a lack of uniformity and robustness in the decisions of the agency and on the need to take into account the advantage gained by offenders in setting parameters for fines for formation of a cartel.

Cade should also intensify and improve investigations of unilateral conduct, especially in the financial sector, where several practices related to means of payment are already in the agency's sights. The same should happen in relation to the issue of cartels in public bids, thanks to the consolidation of institutional partnerships with state public prosecution services and the use of artificial intelligence tools to search for evidence of anticompetitive activities in public procurement databases.

It is also expected that CADE will more effectively encourage private suits in the Judiciary for damages for competitive violations. In November of 2019 the agency issued an ordinance regulating the procedures  provided for in a resolution published in 2018, for interested third parties to access documents and information contained in administrative cases,

Here the page breaks off for crystal structures:
No. 1
# Na3Zr2Si2PO12
Theoretical PXRD pattern, a wavelength of 1.5418 Å. Input: DFT lattice parameters and positions (GGA-PBE).
Intensities are scaled so that the largest is 100.

```
data_Na3Zr2Si2PO12
_chemical_formula_sum 'Na6 Zr4 Si4 P2 O24'
_space_group_name_H-M_alt 'P 1'
_space_group_IT_number 1
_space_group_name_Hall 'P 1'
_cell_length_a 9.197
_cell_length_b 9.202
_cell_length_c 9.221
_cell_angle_alpha 89.98
_cell_angle_beta 60.26
_cell_angle_gamma 60.09
loop_
_atom_site_label
_atom_site_fract_x
_atom_site_fract_y
_atom_site_fract_z
Na1 0.000 0.000 0.000
Na2 0.004 0.221 0.499
Na3 0.378 0.351 0.966
Na4 0.488 0.634 0.755
Na5 0.497 0.124 0.261
Na6 0.608 0.739 0.052
Zr1 0.202 0.753 0.200
Zr2 0.207 0.251 0.696
Zr3 0.778 0.469 0.320
Zr4 0.794 0.955 0.815
Si1 0.278 0.072 0.022
Si2 0.295 0.857 0.509
Si3 0.708 0.356 0.996
Si4 0.997 0.650 0.005
P1 0.698 0.153 0.507
P2 0.995 0.561 0.507
O1 0.075 0.910 0.684
O2 0.077 0.237 0.204
O3 0.108 0.602 0.341
O4 0.138 0.476 0.833
O5 0.153 0.678 0.018
O6 0.156 0.384 0.505
O7 0.262 0.117 0.856
O8 0.292 0.886 0.025
O9 0.300 0.811 0.333
O10 0.302 0.032 0.507
O11 0.481 0.688 0.507
O12 0.482 0.040 0.997
O13 0.506 0.529 0.018
O14 0.521 0.175 0.507
O15 0.686 0.114 0.676
O16 0.688 0.188 0.990
O17 0.693 0.324 0.508
O18 0.724 0.383 0.162
O19 0.833 0.834 0.998
O20 0.838 0.538 0.510
O21 0.857 0.613 0.176
O22 0.877 0.717 0.675
O23 0.904 0.995 0.341
O24 0.910 0.322 0.815
```

The 6 most intense peaks (10 to 80 degrees two-theta), by intensity:
Position (°2θ)  intensity
19.29  100
19.20  99
33.74  87
30.66  64
30.54  63
27.39  37

No. 2
# SrNi2B2
Theoretical PXRD pattern, a wavelength of 1.5418 Å. Input: DFT lattice parameters and positions (GGA-PBE).
Intensities are scaled so that the largest is 100.

```
data_SrNi2B2
_chemical_formula_sum 'Sr4 Ni8 B8'
_space_group_name_H-M_alt 'P 1'
_space_group_IT_number 1
_space_group_name_Hall 'P 1'
_cell_length_a 3.212
_cell_length_b 7.712
_cell_length_c 11.138
_cell_angle_alpha 98.60
_cell_angle_beta 90.35
_cell_angle_gamma 90.11
loop_
_atom_site_label
_atom_site_fract_x
_atom_site_fract_y
_atom_site_fract_z
Sr1 0.000 0.000 0.000
Sr2 0.003 0.635 0.834
Sr3 0.499 0.151 0.486
Sr4 0.506 0.483 0.348
Ni1 0.000 0.533 0.596
Ni2 0.000 0.769 0.223
Ni3 0.002 0.865 0.612
Ni4 0.004 0.101 0.237
Ni5 0.499 0.629 0.073
Ni6 0.501 0.320 0.105
Ni7 0.502 0.316 0.728
Ni8 0.504 0.008 0.761
B1 0.001 0.508 0.125
B2 0.002 0.128 0.709
B3 0.005 0.365 0.989
B4 0.500 0.808 0.489
B5 0.501 0.695 0.609
B6 0.501 0.825 0.346
B7 0.503 0.939 0.225
B8 0.998 0.270 0.844
```

The 6 most intense peaks (10 to 80 degrees two-theta), by intensity:
Position (°2θ)  intensity
35.02  100
38.67  81
30.20  57
36.31  55
32.89  55
37.32  53

No. 3
# K2CO3
Theoretical PXRD pattern, a wavelength of 1.5418 Å. Input: DFT lattice parameters and positions (GGA-PBE).
Intensities are scaled so that the largest is 100.

```
data_K2CO3
_chemical_formula_sum 'K8 C4 O12'
_space_group_name_H-M_alt 'P 1'
_space_group_IT_number 1
End of the crystal structures:

In mergers, Cade will play an important role in review the competitive effects of transactions that occur in the federal government's privatization program in the coming years. The agency has sought to increase and empower its staff to maintain speed in review of cases.

In line with the actions of international antitrust agencies, Cade has devoted much attention to transactions between companies operating in digital markets, whose competitive risks tend not to be identified and measured by traditional analytical tools. In general, the parts of these transactions do not meet the legal reporting requirement. Given the growing relevance of the digital economy and the need to form a critical mass to define its policy of action and intervention in highly dynamic markets, it is possible that CADE will require reporting of some of these transactions in the coming years, exercising an option provided for in the Competition Law that has thus far been used sparingly.